Contents
<<<
Density functional theory data (GGA-PBE) for a relaxed structure of Ac4SnTe2.

VASP energy (eV per atom): -4.824
E_form (uncorrected) (eV/f.u.): -7.0
Total magnetization (μB/f.u.): 0.0
Fermi-level density of states (states/eV/cell): 21.1

CIF file:
```
data_Ac4SnTe2
_chemical_formula_sum 'Ac16 Sn4 Te8'
_space_group_name_H-M_alt 'C m c m'
_space_group_IT_number 63
_space_group_name_Hall '-C 2c 2'
_cell_length_a 4.6335
_cell_length_b 14.8866
_cell_length_c 16.2813
_cell_angle_alpha 90.00
_cell_angle_beta 90.00
_cell_angle_gamma 90.00
loop_
_atom_site_label
_atom_site_type_symbol
_atom_site_fract_x
_atom_site_fract_y
_atom_site_fract_z
Ac1 Ac 0.0000 0.0000 0.0000
Ac2 Ac 0.0000 0.2918 0.1309
Ac3 Ac 0.0000 0.4340 0.7500
Sn1 Sn 0.0000 0.0963 0.7500
Te1 Te 0.0000 0.3538 0.5630
```

=====

Entry 1:
Ac12Pr7Er | PBE | relaxed

abc: 20.9054 20.9054 6.7241
angles: 90.00 90.00 120.00
Space group R-3m (No. 166, hexagonal axes)
One atom of each set of equivalent atoms:
1 Ac 0.0000 0.4121 0.0000
2 Ac 0.1022 0.5511 0.4812
3 Pr 0.0000 0.0000 0.0000
4 Pr 0.0813 0.1625 0.3086
5 Er 0.0000 0.0000 0.5000

Summary:
Energy of formation, kJ per mole of atoms: 16.95
Energy, eV/cell: -251.42



Entry 2:
Ac4PrEr2 | PBE | relaxed

abc: 12.897 25.508 6.750
angles: 90.00 90.00 90.00
Space group Fdd2 (No. 43)
One atom of each set of equivalent atoms:
1 Ac 0.050 0.070 0.000
2 Ac 0.063 0.145 0.517
3 Pr 0.000 0.000 0.501
4 Er 0.024 0.217 0.041

Summary:
Energy of formation, kJ per mole of atoms: 11.23
Energy, eV/cell: -236.19
>>>

Job
Please quote the lines further above up to the one that holds "0.0000 0.4121", that line included.

Completed
Density functional theory data (GGA-PBE) for a relaxed structure of Ac4SnTe2.

VASP energy (eV per atom): -4.824
E_form (uncorrected) (eV/f.u.): -7.0
Total magnetization (μB/f.u.): 0.0
Fermi-level density of states (states/eV/cell): 21.1

CIF file:
```
data_Ac4SnTe2
_chemical_formula_sum 'Ac16 Sn4 Te8'
_space_group_name_H-M_alt 'C m c m'
_space_group_IT_number 63
_space_group_name_Hall '-C 2c 2'
_cell_length_a 4.6335
_cell_length_b 14.8866
_cell_length_c 16.2813
_cell_angle_alpha 90.00
_cell_angle_beta 90.00
_cell_angle_gamma 90.00
loop_
_atom_site_label
_atom_site_type_symbol
_atom_site_fract_x
_atom_site_fract_y
_atom_site_fract_z
Ac1 Ac 0.0000 0.0000 0.0000
Ac2 Ac 0.0000 0.2918 0.1309
Ac3 Ac 0.0000 0.4340 0.7500
Sn1 Sn 0.0000 0.0963 0.7500
Te1 Te 0.0000 0.3538 0.5630
```

=====

Entry 1:
Ac12Pr7Er | PBE | relaxed

abc: 20.9054 20.9054 6.7241
angles: 90.00 90.00 120.00
Space group R-3m (No. 166, hexagonal axes)
One atom of each set of equivalent atoms:
1 Ac 0.0000 0.4121 0.0000